Job >
Now echo the lines underneath from the one with "2.785" to the one with "-3.104 9.432" unchanged.

Data >
=====
# 1
The following is a quantum chemistry calculation of 9 unconnected molecules or ions with the total composition C25H60N2O11P in a non-equilibrium geometry, from the OMol25 dataset.

ORCA input file:
```
! RIJCOSX wB97M-V def2-TZVPD def2/J DEFGRID3
* xyz 1 1
C 4.603 -2.744 1.982
C 4.764 -2.074 0.569
N 5.873 -1.459 0.372
C 3.691 -2.163 -0.575
C 2.436 -1.278 -0.352
C 2.434 0.063 0.193
N 1.278 0.804 0.327
C 0.037 0.338 -0.061
P -1.498 1.430 0.103
O -1.351 2.442 1.212
C -0.099 -1.010 -0.606
C 1.120 -1.832 -0.765
C 0.951 -3.256 -1.376
O 1.151 -4.214 -0.688
O 0.616 -3.448 -2.707
H 3.928 -3.645 1.958
H 4.340 -2.014 2.785
H 5.624 -3.154 2.230
H 5.907 -1.082 -0.583
H 3.446 -3.249 -0.746
H 4.202 -1.828 -1.526
H 3.384 0.551 0.511
H 1.277 1.766 0.695
H -1.594 2.192 -1.109
H -2.694 0.674 0.256
H -1.092 -1.407 -0.930
H -0.303 -3.151 -2.855
C -2.869 0.057 4.398
C -4.023 0.218 3.428
O -4.386 1.590 3.321
H -3.142 0.440 5.383
H -2.582 -0.993 4.496
H -1.999 0.629 4.063
H -4.895 -0.337 3.776
H -3.753 -0.155 2.431
H -3.612 2.074 3.003
C -1.683 4.392 -4.311
C -1.163 4.945 -2.999
O -0.538 3.908 -2.233
H -2.403 3.591 -4.131
H -2.166 5.174 -4.899
H -0.868 3.963 -4.901
H -1.981 5.353 -2.405
H -0.434 5.740 -3.173
H 0.191 3.558 -2.759
C 1.327 -8.180 -1.598
C 0.976 -7.724 -3.001
O 0.174 -6.546 -2.954
H 0.422 -8.381 -1.022
H 1.937 -9.085 -1.624
H 1.878 -7.400 -1.065
H 0.408 -8.496 -3.522
H 1.882 -7.511 -3.579
H 0.685 -5.865 -2.500
C 4.794 -9.539 -3.145
C 5.231 -8.259 -3.831
O 6.500 -7.838 -3.340
H 4.733 -9.392 -2.064
H 3.817 -9.864 -3.512
H 5.518 -10.338 -3.318
H 4.516 -7.457 -3.637
H 5.304 -8.403 -4.914
H 7.132 -8.543 -3.522
C -2.030 5.746 2.841
C -2.906 6.181 1.684
O -2.122 6.349 0.504
H -1.247 6.484 3.029
H -2.620 5.619 3.751
H -1.529 4.801 2.611
H -3.388 7.134 1.905
H -3.685 5.438 1.486
H -1.706 5.500 0.309
C -4.140 4.281 7.592
C -5.008 4.719 6.427
O -4.218 4.885 5.253
H -3.357 5.017 7.783
H -4.736 4.158 8.498
H -3.642 3.334 7.368
H -5.486 5.674 6.645
H -5.789 3.980 6.225
H -3.805 4.035 5.059
C -1.182 10.054 2.764
C -1.176 9.668 4.231
O -2.443 9.946 4.817
H -1.413 11.115 2.649
H -0.213 9.852 2.302
H -1.952 9.498 2.221
H -0.422 10.239 4.774
H -0.956 8.602 4.354
H -3.104 9.432 4.340
C 1.587 -4.536 -6.608
C 0.164 -4.880 -7.006
O -0.137 -6.225 -6.660
H 2.294 -5.205 -7.103
H 1.830 -3.505 -6.877
H 1.728 -4.662 -5.531
H 0.032 -4.775 -8.083
H -0.552 -4.219 -6.504
H -0.028 -6.311 -5.703
*
```


# 2
The following is a quantum chemistry calculation of 5 unconnected molecules or ions with the total composition C22H62Cl4N9O3P3 in a non-equilibrium geometry, from the OMol25 dataset.

Properties
- Relative energy (zero: lowest compared OMol25 entry of this formula, charge and spin): 1.5 kJ/mol
- Structure (SMILES): CN(C)P(=O)(N(C)C)N(C)C.CN(C)P(=O)(N(C)C)N(C)C.CN(C)P(=O)(N(C)C)N(C)C.ClCCCl.ClCCCl

ORCA input file:
```
! RIJCOSX wB97M-V def2-TZVPD def2/J DEFGRID3
* xyz 0 1
C -3.098 -3.728 -4.345
N -2.229 -2.876 -3.548
C -2.950 -2.014 -2.609
P -0.669 -2.562 -3.953
O -0.106 -1.585 -2.998
N 0.130 -4.027 -3.960
C -0.324 -5.079 -3.051
C 1.576 -3.930 -4.096
N -0.582 -2.134 -5.544
C -0.258 -0.758 -5.924
C -0.900 -3.021 -6.642
H -3.617 -4.407 -3.662
H -2.530 -4.385 -5.001
H -3.787 -3.145 -4.963
H -3.855 -2.523 -2.271
H -3.282 -1.144 -3.182
H -2.343 -1.814 -1.733
H -0.645 -5.993 -3.563
H 0.502 -5.419 -2.419
H -1.140 -4.691 -2.447
H 2.079 -3.919 -3.121
H 1.956 -4.811 -4.621
H 1.838 -3.032 -4.653
H 0.526 -0.387 -5.265
H 0.120 -0.729 -6.942
H -1.094 -0.063 -5.801
H -0.434 -2.712 -7.577
H -1.978 -3.024 -6.852
H -0.622 -4.055 -6.439
C 2.156 0.411 3.423
N 2.661 0.833 4.703
C 4.099 0.992 4.804
P 1.693 1.120 6.027
O 2.305 2.019 7.015
N 0.228 1.611 5.434
C 0.200 2.748 4.519
C -0.896 1.603 6.342
N 1.321 -0.398 6.629
C 2.275 -0.981 7.550
C 0.716 -1.332 5.694
H 1.143 0.018 3.452
H 2.758 -0.417 3.030
H 2.118 1.203 2.660
H 4.588 0.186 4.242
H 4.397 0.860 5.840
H 4.472 1.913 4.346
H 0.168 3.692 5.089
H 1.115 2.845 3.941
=====

Response >
H 4.340 -2.014 2.785
H 5.624 -3.154 2.230
H 5.907 -1.082 -0.583
H 3.446 -3.249 -0.746
H 4.202 -1.828 -1.526
H 3.384 0.551 0.511
H 1.277 1.766 0.695
H -1.594 2.192 -1.109
H -2.694 0.674 0.256
H -1.092 -1.407 -0.930
H -0.303 -3.151 -2.855
C -2.869 0.057 4.398
C -4.023 0.218 3.428
O -4.386 1.590 3.321
H -3.142 0.440 5.383
H -2.582 -0.993 4.496
H -1.999 0.629 4.063
H -4.895 -0.337 3.776
H -3.753 -0.155 2.431
H -3.612 2.074 3.003
C -1.683 4.392 -4.311
C -1.163 4.945 -2.999
O -0.538 3.908 -2.233
H -2.403 3.591 -4.131
H -2.166 5.174 -4.899
H -0.868 3.963 -4.901
H -1.981 5.353 -2.405
H -0.434 5.740 -3.173
H 0.191 3.558 -2.759
C 1.327 -8.180 -1.598
C 0.976 -7.724 -3.001
O 0.174 -6.546 -2.954
H 0.422 -8.381 -1.022
H 1.937 -9.085 -1.624
H 1.878 -7.400 -1.065
H 0.408 -8.496 -3.522
H 1.882 -7.511 -3.579
H 0.685 -5.865 -2.500
C 4.794 -9.539 -3.145
C 5.231 -8.259 -3.831
O 6.500 -7.838 -3.340
H 4.733 -9.392 -2.064
H 3.817 -9.864 -3.512
H 5.518 -10.338 -3.318
H 4.516 -7.457 -3.637
H 5.304 -8.403 -4.914
H 7.132 -8.543 -3.522
C -2.030 5.746 2.841
C -2.906 6.181 1.684
O -2.122 6.349 0.504
H -1.247 6.484 3.029
H -2.620 5.619 3.751
H -1.529 4.801 2.611
H -3.388 7.134 1.905
H -3.685 5.438 1.486
H -1.706 5.500 0.309
C -4.140 4.281 7.592
C -5.008 4.719 6.427
O -4.218 4.885 5.253
H -3.357 5.017 7.783
H -4.736 4.158 8.498
H -3.642 3.334 7.368
H -5.486 5.674 6.645
H -5.789 3.980 6.225
H -3.805 4.035 5.059
C -1.182 10.054 2.764
C -1.176 9.668 4.231
O -2.443 9.946 4.817
H -1.413 11.115 2.649
H -0.213 9.852 2.302
H -1.952 9.498 2.221
H -0.422 10.239 4.774
H -0.956 8.602 4.354
H -3.104 9.432 4.340